Work order:
Could you give back the lines underneath from the one with "3.23" to the one with "-1.38389" without altering anything?
Listing:
<P>
This record from the Open Molecules 2025 dataset describes C2H5NOP2 in the gas phase. The level of theory is ωB97M-V/def2-TZVPD.

Output
orbital gap (alpha / beta)	7.201 / 7.446	eV
HOMO (alpha / beta)	-9.023 / -8.850	eV
E_LUMO (alpha / beta)	-1.822 / -1.404	eV

Element x y z (Å)
C  1.32  -0.86  -1.79
C  0.28  -0.01  -1.07
N  -0.96  0.55  1.08
O  0.87  -2.01  -1.19
P  0.43  -0.12  0.71
P  -1.79  0.73  2.49
H  1.20  -0.85  -2.88
H  2.35  -0.60  -1.52
H  -0.72  0.04  -1.49
H  -0.80  1.07  3.42
H  -2.17  2.06  2.24


<Q>
This record from the Open Molecules 2025 dataset describes a molecular structure, C2H5NOP2. The level of theory is ωB97M-V/def2-TZVPD.

Output
orbital gap	8.058	eV
HOMO	-8.857	eV
E_LUMO	-0.799	eV

Element x y z (Å)
C  -1.04  -0.19  0.75
C  -0.92  -1.26  -0.03
N  1.06  0.45  -1.09
O  1.85  1.03  1.51
P  1.23  1.30  0.24
P  0.54  -1.20  -1.14
H  -0.31  0.54  0.64
H  -1.82  -0.16  1.51
H  -1.64  -2.14  0.15
H  1.38  2.64  -0.23
H  -0.33  -1.00  -2.31


Preferred: <Q>; penalty for the next structure: 193.3 kJ/mol.


<P>
This record from the Open Molecules 2025 dataset describes 2 unconnected molecules or ions with the total composition C9H20N2O3P. The level of theory is ωB97M-V/def2-TZVPD.

Output
orbital gap	10.772	eV
net charge	+1
HOMO	-14.587	eV
E_LUMO	-3.815	eV

Element x y z (Å)
C  0.92  2.79  -0.76
C  0.23  -0.25  2.55
C  -1.19  1.58  1.51
C  2.25  -0.87  0.03
C  0.63  -2.01  -1.58
C  0.79  1.67  -1.71
C  -0.38  0.74  -1.38
C  0.01  0.59  1.24
C  0.83  -1.23  -0.26
N  1.20  3.62  -0.05
N  -0.18  -0.07  -0.12
O  -5.96  0.27  -0.51
O  -3.48  0.37  -0.54
O  -1.36  -0.80  0.10
P  -4.59  -0.19  0.17
H  0.19  0.40  3.33
H  -0.40  -1.01  2.59
H  1.20  -0.53  2.51
H  -1.00  2.51  2.12
H  -1.96  0.96  1.90
H  -1.49  1.90  0.60
H  2.66  -1.70  0.37
H  2.90  -0.44  -0.83
H  2.42  -0.04  0.74
H  -0.41  -2.39  -1.72
H  1.41  -2.68  -1.64
H  0.91  -1.52  -2.57
H  1.74  1.02  -1.52
H  0.58  2.18  -2.61
H  -1.23  1.21  -1.13
H  -0.49  0.09  -2.15
H  0.89  1.36  1.02
H  0.61  -1.98  0.59
H  -6.06  1.00  -1.19
H  -2.26  -0.31  -0.27


<Q>
This record from the Open Molecules 2025 dataset describes a gas-phase ion, C9H20N2O3P (charge +1). The level of theory is ωB97M-V/def2-TZVPD.

Output
orbital gap	9.436	eV
net charge	+1
SMILES	CCO[P@@](=O)(O)C#[N+]N(C(C)C)C(C)C
HOMO	-13.257	eV
E_LUMO	-3.821	eV

Element x y z (Å)
C  -2.88  -0.55  -2.92
C  -2.92  -1.62  -1.78
O  -2.26  -1.29  -0.45
P  -2.70  -0.62  0.85
O  -4.12  -0.22  1.14
O  -2.14  -1.29  2.10
C  -1.08  0.52  0.71
N  0.05  0.25  0.64
N  1.29  0.32  0.46
C  2.17  0.05  1.63
C  1.76  -1.23  2.32
C  2.20  1.29  2.59
C  1.77  0.93  -0.79
C  1.07  2.24  -1.03
C  1.57  -0.11  -1.93
H  -3.31  0.48  -2.71
H  -1.97  -0.32  -3.38
H  -3.54  -0.96  -3.68
H  -2.31  -2.57  -1.96
H  -4.00  -1.87  -1.48
H  -2.81  -1.37  2.79
H  3.23  -0.14  1.23
H  1.44  -1.98  1.64
H  2.52  -1.48  3.09
H  0.85  -0.95  2.90
H  2.75  2.10  2.32
H  2.51  0.86  3.62
H  1.09  1.62  2.68
H  2.82  1.12  -0.60
H  1.50  3.14  -0.49
H  1.08  2.50  -2.17
H  -0.03  2.20  -0.74
H  1.42  -1.20  -1.53
H  2.40  -0.07  -2.67
H  0.59  0.21  -2.41


Preferred: <Q>; penalty for the next structure: 131.7 kJ/mol.


No. 1
C23H77O28P5 | ωB97M-V/def2-TZVPD

- Energy above the lowest of the compared OMol25 structures with the same formula, charge and spin: 277.3 kJ/mol

Element x y z (Å)
C1 -4.30710 4.30742 0.88832
O1 -4.75959 4.68417 -0.38151
H1 -3.72647 3.38541 0.91784
H2 -3.50329 4.99129 1.16092
H3 -5.06383 4.26139 1.67147
H4 -4.96127 5.61955 -0.45883
C2 5.89599 -0.64952 -1.29259
O2 6.89227 0.17522 -0.60808
H5 4.89170 -0.23580 -1.38389
H6 6.20592 -0.88979 -2.30960
H7 5.73530 -1.59650 -0.77731
H8 7.20576 0.88099 -1.17835
C3 -3.60101 -0.06052 4.15713
O3 -4.83634 -0.31824 4.77015
H9 -3.70363 0.59045 3.28892
H10 -2.98271 0.34181 4.95959
H11 -3.17071 -0.98313 3.76761
H12 -4.89346 -1.20821 5.12553
C4 4.40867 4.82425 -1.99781
O4 3.10776 4.18010 -1.94880
H13 4.63917 5.51789 -1.18921
H14 5.17252 4.06209 -2.15184
Reply:
H  3.23  -0.14  1.23
H  1.44  -1.98  1.64
H  2.52  -1.48  3.09
H  0.85  -0.95  2.90
H  2.75  2.10  2.32
H  2.51  0.86  3.62
H  1.09  1.62  2.68
H  2.82  1.12  -0.60
H  1.50  3.14  -0.49
H  1.08  2.50  -2.17
H  -0.03  2.20  -0.74
H  1.42  -1.20  -1.53
H  2.40  -0.07  -2.67
H  0.59  0.21  -2.41


Preferred: <Q>; penalty for the next structure: 131.7 kJ/mol.


No. 1
C23H77O28P5 | ωB97M-V/def2-TZVPD

- Energy above the lowest of the compared OMol25 structures with the same formula, charge and spin: 277.3 kJ/mol

Element x y z (Å)
C1 -4.30710 4.30742 0.88832
O1 -4.75959 4.68417 -0.38151
H1 -3.72647 3.38541 0.91784
H2 -3.50329 4.99129 1.16092
H3 -5.06383 4.26139 1.67147
H4 -4.96127 5.61955 -0.45883
C2 5.89599 -0.64952 -1.29259
O2 6.89227 0.17522 -0.60808
H5 4.89170 -0.23580 -1.38389